(Source)
Record 1
For Y2Al4GaCu3, a DFT-relaxed cell (GGA-PBE, Alexandria) gives the theoretical PXRD pattern in this record (λ = 1.5418 Å (Cu Kα)).

Largest 8 diffraction maxima, by angle, 5 to 70 degrees two-theta:
hkl 1 1 1, 31.61 deg, intensity 19
hkl 1 0 3, 33.95 deg, intensity 59
hkl 1 1 2, 35.14 deg, intensity 100
hkl 2 0 0, 43.45 deg, intensity 54
hkl 1 0 5, 49.60 deg, intensity 26
hkl 2 1 3, 56.26 deg, intensity 26
hkl 2 2 0, 63.13 deg, intensity 17
hkl 2 1 5, 68.03 deg, intensity 19

Cell and atoms:
Cell lengths 4.1655, 4.1655, 10.2404 Å; angles 90.00, 90.00, 90.00 degrees
Space group P-4m2 (No. 115)
Unique sites:
Y (0.0000, 0.5000, 0.2479) x2
Al (0.0000, 0.0000, 0.0000) x1
Al (0.0000, 0.5000, 0.6412) x2
Al (0.5000, 0.5000, 0.0000) x1
Ga (0.0000, 0.0000, 0.5000) x1
Cu (0.0000, 0.5000, 0.8718) x2
Cu (0.5000, 0.5000, 0.5000) x1

Record 2
For Y2Al3GaCu4, a DFT-relaxed cell (GGA-PBE, Alexandria) gives the theoretical PXRD pattern in this record (λ = 1.5418 Å (Cu Kα)).

Largest 8 diffraction maxima, by angle, 5 to 70 degrees two-theta:
hkl 1 0 3, 34.21 deg, intensity 50
hkl 1 1 2, 35.43 deg, intensity 100
hkl 2 0 0, 43.81 deg, intensity 52
hkl 1 1 4, 47.40 deg, intensity 13
hkl 1 0 5, 49.99 deg, intensity 23
hkl 2 1 3, 56.73 deg, intensity 22
hkl 2 2 0, 63.68 deg, intensity 16
hkl 2 1 5, 68.61 deg, intensity 17

Cell and atoms:
Cell lengths 4.1331, 4.1331, 10.1678 Å; angles 90.00, 90.00, 90.00 degrees
Space group P-4m2 (No. 115)
Unique sites:
Y (0.0000, 0.5000, 0.2476) x2
Al (0.0000, 0.5000, 0.8713) x2
Al (0.5000, 0.5000, 0.5000) x1
Ga (0.0000, 0.0000, 0.5000) x1
Cu (0.0000, 0.0000, 0.0000) x1
Cu (0.0000, 0.5000, 0.6355) x2
Cu (0.5000, 0.5000, 0.0000) x1

Record 3
For GdTmAlCu, a DFT-relaxed cell (GGA-PBE, Alexandria) gives the theoretical PXRD pattern in this record (λ = 1.5418 Å (Cu Kα)).

Largest 8 diffraction maxima, by angle, 5 to 70 degrees two-theta:
hkl 1 1 1, 21.64 deg, intensity 3
hkl 2 0 0, 25.04 deg, intensity 36
hkl 2 2 0, 35.70 deg, intensity 100
hkl 3 1 1, 42.13 deg, intensity 1
hkl 2 2 2, 44.10 deg, intensity 11
hkl 4 0 0, 51.38 deg, intensity 18
hkl 4 2 0, 57.98 deg, intensity 15
hkl 4 2 2, 64.14 deg, intensity 36

Cell and atoms:
Cell lengths 7.1132, 7.1132, 7.1132 Å; angles 90.00, 90.00, 90.00 degrees
Space group F-43m (No. 216)
Unique sites:
Gd (0.0000, 0.0000, 0.0000) x4
Tm (0.0000, 0.0000, 0.5000) x4
Al (0.2500, 0.2500, 0.7500) x4
Cu (0.2500, 0.2500, 0.2500) x4

Record 4
For Li2AlCu7Ge2, a DFT-relaxed cell (GGA-PBE, Alexandria) gives the theoretical PXRD pattern in this record (λ = 1.5418 Å (Cu Kα)).

Largest 8 diffraction maxima, by angle, 5 to 70 degrees two-theta:
hkl 1 1 1, 25.26 deg, intensity 24
hkl 1 1 -2, 28.54 deg, intensity 28
hkl 0 2 1, 35.13 deg, intensity 30
hkl 2 0 -3, 41.54 deg, intensity 100
hkl 2 0 3, 41.63 deg, intensity 60
hkl 0 0 6, 46.46 deg, intensity 74
hkl 2 2 0, 49.31 deg, intensity 27
hkl 2 2 -1, 49.95 deg, intensity 34

Cell and atoms:
Cell lengths 5.2198, 5.2352, 11.7363 Å; angles 90.00, 90.11, 90.00 degrees
Space group C2/m (No. 12)
Unique sites:
Li (0.0008, 0.0000, 0.3182) x4
Al (0.0000, 0.5000, 0.0000) x2
Cu (0.0000, 0.0000, 0.0000) x2
Cu (0.2351, 0.5000, 0.4999) x4
Cu (0.2494, 0.2499, 0.8428) x8
Ge (0.0009, 0.5000, 0.3095) x4

=====

BaMnGaP: computed X-ray diffraction stick pattern (Cu Kα X-rays), based on a crystal structure in Alexandria, relaxed with GGA-PBE.
Lines closer than 0.1° are merged.

Cell and atoms:
```
data_BaMnGaP
_chemical_formula_sum 'Ba2 Mn2 Ga2 P2'
_symmetry_space_group_name_H-M 'P 4/n m m'
_symmetry_Int_Tables_number 129
_cell_length_a 3.821
_cell_length_b 3.821
_cell_length_c 12.437
_cell_angle_alpha 90.00
_cell_angle_beta 90.00
_cell_angle_gamma 90.00
loop_
_symmetry_equiv_pos_as_xyz
'x,y,z'
'-x,-y,-z'
'-y+1/2,x,z'
'y+1/2,-x,-z'
'-x+1/2,-y+1/2,z'
'x+1/2,y+1/2,-z'
'y,-x+1/2,z'

(Assignment)
It remains to set down every line further above that contains the word "two-theta".

(Completed)
Largest 8 diffraction maxima, by angle, 5 to 70 degrees two-theta:
Largest 8 diffraction maxima, by angle, 5 to 70 degrees two-theta:
Largest 8 diffraction maxima, by angle, 5 to 70 degrees two-theta:
Largest 8 diffraction maxima, by angle, 5 to 70 degrees two-theta: